Contents:
Sb4IrW: relaxed, PBE.

Results
Total DFT energy (no corrections), eV per atom: -4.85
Raw formation energy, eV/atom: 1.530
Symmetry: F-43m
Calculated density, g/cm³: 9.94

The structure in extended XYZ format:
```
6
Lattice="0.0000 4.1616 4.1616 4.1616 0.0000 4.1616 4.1616 4.1616 0.0000" Properties=species:S:1:pos:R:3 pbc="T T T"
Sb 1.0407 1.0407 1.0407
Sb 3.1209 3.1209 1.0407
Sb 3.1209 1.0407 3.1209
Sb 1.0407 3.1209 3.1209
Ir 4.1616 4.1616 4.1616
W 6.2424 6.2424 6.2424
```

---

SbIrW2: relaxed, PBE.

Results
Total DFT energy (no corrections), eV per atom: -9.37
Raw formation energy, eV/atom: 0.356
Symmetry: Immm
Calculated density, g/cm³: 16.99

The structure in extended XYZ format:
```
4
Lattice="-1.8601 2.0483 4.3722 1.8601 -2.0483 4.3722 1.8601 2.0483 -4.3722" Properties=species:S:1:pos:R:3 pbc="T T T"
Sb 0.0000 0.0000 0.0000
Ir 0.0000 0.0000 4.3722
W 1.8601 0.0000 2.1599
W 0.0000 2.0483 2.2123
```

---

SbIrW2: relaxed, PBE.

Results
Total DFT energy (no corrections), eV per atom: -9.34
Raw formation energy, eV/atom: 0.384
Symmetry: Cmm2
Calculated density, g/cm³: 16.26

The structure in extended XYZ format:
```
4
Lattice="2.0758 -2.0814 0.0000 2.0758 2.0814 0.0000 0.0000 0.0000 8.0554" Properties=species:S:1:pos:R:3 pbc="T T T"
Sb 0.0000 0.0000 0.0000
Ir 2.0758 0.0000 2.2021
W 0.0000 0.0000 3.9105
W 2.0758 0.0000 5.9023
```

---

SbIrW2: relaxed, PBE.

Results
Total DFT energy (no corrections), eV per atom: -8.48
Raw formation energy, eV/atom: 1.245
Symmetry: I-42d
Calculated density, g/cm³: 11.00

The structure in extended XYZ format:
```
8
Lattice="-2.9628 2.9628 5.8595 2.9628 -2.9628 5.8595 2.9628 2.9628 -5.8595" Properties=species:S:1:pos:R:3 pbc="T T T"
Sb 0.0000 0.0000 0.0000
Sb 0.0000 2.9628 2.9298
Ir 2.9628 0.0000 2.9298
Ir 0.0000 0.0000 5.8595
W 1.4814 -1.2516 4.3947
W 1.7112 1.4814 1.4649
W 1.4814 4.2143 -1.4649
W 1.2516 1.4814 7.3244
```

---

Sb2IrW: relaxed, PBE.

Results
Total DFT energy (no corrections), eV per atom: -7.34
Raw formation energy, eV/atom: 0.174
Symmetry: Pm
Energy above the lowest structure with this stoichiometry, meV/atom: 19.6
Calculated density, g/cm³: 11.53

The structure in extended XYZ format:
```
4
Lattice="2.9325 0.0000 0.0000 0.0000 4.0866 0.0000 -1.4224 0.0000 7.4429" Properties=species:S:1:pos:R:3 pbc="T T T"
Sb 0.0000 0.0000 0.0000
Sb -0.0091 2.0433 4.5194
Ir -0.0005 0.0000 2.7454
W 1.4671 2.0433 1.7625
```

---

SbIr4W: relaxed, PBE.

Results
Total DFT energy (no corrections), eV per atom: -8.21
Raw formation energy, eV/atom: 0.548
Symmetry: F-43m
Calculated density, g/cm³: 17.70

The structure in extended XYZ format:
```
6
Lattice="0.0000 3.6940 3.6940 3.6940 0.0000 3.6940 3.6940 3.6940 0.0000" Properties=species:S:1:pos:R:3 pbc="T T T"
Sb 0.0000 0.0000 0.0000
Ir 2.7748 2.7748 2.7748
Ir 4.6133 4.6133 2.7748
Ir 4.6133 2.7748 4.6133
Ir 2.7748 4.6133 4.6133
W 5.5410 5.5410 5.5410
```

---

Repeat the second record exactly.
SbIrW2: relaxed, PBE.

Results
Total DFT energy (no corrections), eV per atom: -9.37
Raw formation energy, eV/atom: 0.356
Symmetry: Immm
Calculated density, g/cm³: 16.99

The structure in extended XYZ format:
```
4
Lattice="-1.8601 2.0483 4.3722 1.8601 -2.0483 4.3722 1.8601 2.0483 -4.3722" Properties=species:S:1:pos:R:3 pbc="T T T"
Sb 0.0000 0.0000 0.0000
Ir 0.0000 0.0000 4.3722
W 1.8601 0.0000 2.1599
W 0.0000 2.0483 2.2123
```

Assignment:
Print all of the rows further up unchanged.

Done:
Sb4IrW: relaxed, PBE.

Results
Total DFT energy (no corrections), eV per atom: -4.85
Raw formation energy, eV/atom: 1.530
Symmetry: F-43m
Calculated density, g/cm³: 9.94

The structure in extended XYZ format:
```
6
Lattice="0.0000 4.1616 4.1616 4.1616 0.0000 4.1616 4.1616 4.1616 0.0000" Properties=species:S:1:pos:R:3 pbc="T T T"
Sb 1.0407 1.0407 1.0407
Sb 3.1209 3.1209 1.0407
Sb 3.1209 1.0407 3.1209
Sb 1.0407 3.1209 3.1209
Ir 4.1616 4.1616 4.1616
W 6.2424 6.2424 6.2424
```

---

SbIrW2: relaxed, PBE.

Results
Total DFT energy (no corrections), eV per atom: -9.37
Raw formation energy, eV/atom: 0.356
Symmetry: Immm
Calculated density, g/cm³: 16.99

The structure in extended XYZ format:
```
4
Lattice="-1.8601 2.0483 4.3722 1.8601 -2.0483 4.3722 1.8601 2.0483 -4.3722" Properties=species:S:1:pos:R:3 pbc="T T T"
Sb 0.0000 0.0000 0.0000
Ir 0.0000 0.0000 4.3722
W 1.8601 0.0000 2.1599
W 0.0000 2.0483 2.2123
```

---

SbIrW2: relaxed, PBE.

Results
Total DFT energy (no corrections), eV per atom: -9.34
Raw formation energy, eV/atom: 0.384
Symmetry: Cmm2
Calculated density, g/cm³: 16.26

The structure in extended XYZ format:
```
4
Lattice="2.0758 -2.0814 0.0000 2.0758 2.0814 0.0000 0.0000 0.0000 8.0554" Properties=species:S:1:pos:R:3 pbc="T T T"
Sb 0.0000 0.0000 0.0000
Ir 2.0758 0.0000 2.2021
W 0.0000 0.0000 3.9105
W 2.0758 0.0000 5.9023
```

---

SbIrW2: relaxed, PBE.

Results
Total DFT energy (no corrections), eV per atom: -8.48
Raw formation energy, eV/atom: 1.245
Symmetry: I-42d
Calculated density, g/cm³: 11.00

The structure in extended XYZ format:
```
8
Lattice="-2.9628 2.9628 5.8595 2.9628 -2.9628 5.8595 2.9628 2.9628 -5.8595" Properties=species:S:1:pos:R:3 pbc="T T T"
Sb 0.0000 0.0000 0.0000
Sb 0.0000 2.9628 2.9298
Ir 2.9628 0.0000 2.9298
Ir 0.0000 0.0000 5.8595
W 1.4814 -1.2516 4.3947
W 1.7112 1.4814 1.4649
W 1.4814 4.2143 -1.4649
W 1.2516 1.4814 7.3244
```

---

Sb2IrW: relaxed, PBE.

Results
Total DFT energy (no corrections), eV per atom: -7.34
Raw formation energy, eV/atom: 0.174
Symmetry: Pm
Energy above the lowest structure with this stoichiometry, meV/atom: 19.6
Calculated density, g/cm³: 11.53

The structure in extended XYZ format:
```
4
Lattice="2.9325 0.0000 0.0000 0.0000 4.0866 0.0000 -1.4224 0.0000 7.4429" Properties=species:S:1:pos:R:3 pbc="T T T"
Sb 0.0000 0.0000 0.0000
Sb -0.0091 2.0433 4.5194
Ir -0.0005 0.0000 2.7454
W 1.4671 2.0433 1.7625
```

---

SbIr4W: relaxed, PBE.

Results
Total DFT energy (no corrections), eV per atom: -8.21
Raw formation energy, eV/atom: 0.548
Symmetry: F-43m
Calculated density, g/cm³: 17.70

The structure in extended XYZ format:
```
6
Lattice="0.0000 3.6940 3.6940 3.6940 0.0000 3.6940 3.6940 3.6940 0.0000" Properties=species:S:1:pos:R:3 pbc="T T T"
Sb 0.0000 0.0000 0.0000
Ir 2.7748 2.7748 2.7748
Ir 4.6133 4.6133 2.7748
Ir 4.6133 2.7748 4.6133
Ir 2.7748 4.6133 4.6133
W 5.5410 5.5410 5.5410
```

---

Repeat the second record exactly.
SbIrW2: relaxed, PBE.

Results
Total DFT energy (no corrections), eV per atom: -9.37
Raw formation energy, eV/atom: 0.356
Symmetry: Immm
Calculated density, g/cm³: 16.99

The structure in extended XYZ format:
```
4
Lattice="-1.8601 2.0483 4.3722 1.8601 -2.0483 4.3722 1.8601 2.0483 -4.3722" Properties=species:S:1:pos:R:3 pbc="T T T"
Sb 0.0000 0.0000 0.0000
Ir 0.0000 0.0000 4.3722
W 1.8601 0.0000 2.1599
W 0.0000 2.0483 2.2123
```